NYU signs pledge to slow climate change
NYU joins 200+ American colleges and universities in support of sustainable actions both local and international.
November 23, 2015
The White House announced last week that over 200 universities, including NYU, signed the American Campuses Act on Climate Pledge to show their commitment to climate action. The pledge is directed toward world leaders who will attend the Conference of Parties 21 Summit, also referred to as the 2015 Paris Climate Conference, which will be held in Paris from Nov. 30 to Dec. 11.
The COP Summit is representative of United Nations climate change negotiations. The summit hopes to formulate a legal agreement on climate maintenance, ideally keeping global warming below 2 degrees Celsius per year.
Dianne Anderson, interim director of the NYU Office of Sustainability, said the pledge represents the awareness that NYU has regarding sustainability and climate action.
Inserted here: records of crystals:
+++
Starting from a structure optimized by DFT (GGA+U), the PXRD pattern of CaMn2AsO4 was simulated for Cu Ka.
Peak positions follow from Bragg's law for the DFT cell and can differ from measured ones.

Principal peaks in the range 2θ = 5–70°, low angle first:
2θ (°)	Rel. int.
32.13	92
33.95	100
34.38	82
40.43	72
41.11	67
51.25	29
53.79	48
58.18	25
59.03	40
67.22	24

Structural model:
Unit cell a=8.831 b=8.925 c=6.540 alpha=90.00 beta=126.15 gamma=90.00
Space group C2/c (No. 15)
Unique sites:
Ca1 0.250 0.250 0.000 [4 per cell]
Mn1 0.000 0.000 0.000 [4 per cell]
Mn2 0.250 0.250 0.500 [4 per cell]
As1 0.000 0.500 0.000 [4 per cell]
O1 0.020 0.256 0.521 [8 per cell]
O2 0.209 0.010 0.390 [8 per cell]

* * * * *

# 1
This entry pairs a crystal structure of Pr2CoAuC with its computed XRD peak list. Radiation: CuKα. Structure: DFT lattice parameters and positions (GGA-PBE).
Intensities are scaled so that the largest is 1000.

Structural model:
```
data_Pr2CoAuC
_chemical_formula_sum 'Pr2 Co1 Au1 C1'
_cell_length_a 5.3064
_cell_length_b 5.3064
_cell_length_c 3.6585
_cell_angle_alpha 90.00
_cell_angle_beta 90.00
_cell_angle_gamma 90.00
_symmetry_space_group_name_H-M 'P 4/m m m'
_symmetry_Int_Tables_number 123
_symmetry_space_group_name_Hall '-P 4 2'
loop_
_atom_site_label
_atom_site_type_symbol
_atom_site_fract_x
_atom_site_fract_y
_atom_site_fract_z
_atom_site_occupancy
Pr1 Pr 0.0000 0.5000 0.0000 1
Co1 Co 0.0000 0.0000 0.5000 1
Au1 Au 0.5000 0.5000 0.5000 1
C1 C 0.0000 0.0000 0.0000 1
```

Peak list (10 most intense, 2θ = 5–70°, in order of falling intensity)
| hkl | two_theta | intensity |
| --- | --- | --- |
| 1 1 1 | 34.2 | 1000 |
| 2 0 0 | 33.8 | 561 |
| 3 1 1 | 60.7 | 384 |
| 2 2 0 | 48.5 | 201 |
| 2 0 2 | 61.6 | 195 |
| 1 0 0 | 16.7 | 139 |
| 1 0 1 | 29.7 | 109 |
| 0 0 2 | 49.9 | 93 |
| 2 1 1 | 45.6 | 69 |
| 2 1 0 | 37.9 | 43 |

=====

# 2
This entry pairs a crystal structure of Cu2Ni8Rh with its computed XRD peak list. Radiation: CuKα. Structure: DFT lattice parameters and positions (GGA-PBE).
Intensities are scaled so that the largest is 1000.

Structural model:
```
data_Cu2Ni8Rh
_chemical_formula_sum 'Cu4 Ni16 Rh2'
_cell_length_a 4.0488
_cell_length_b 4.6397
_cell_length_c 15.9836
_cell_angle_alpha 90.00
_cell_angle_beta 90.00
_cell_angle_gamma 90.00
_symmetry_space_group_name_H-M 'I m m m'
_symmetry_Int_Tables_number 71
_symmetry_space_group_name_Hall '-I 2 2'
loop_
_atom_site_label
_atom_site_type_symbol
_atom_site_fract_x
_atom_site_fract_y
_atom_site_fract_z
_atom_site_occupancy
Cu1 Cu 0.0000 0.0000 0.2282 1
Ni1 Ni 0.0000 0.0000 0.0811 1
Ni2 Ni 0.0000 0.2513 0.3628 1
Ni3 Ni 0.0000 0.5000 0.1726 1
Rh1 Rh 0.0000 0.5000 0.5000 1
```

Peak list (10 most intense, 2θ = 5–70°, in order of falling intensity)
| hkl | two_theta | intensity |
| --- | --- | --- |
| 1 1 6 | 45.2 | 1000 |
| 1 2 3 | 48.3 | 753 |
| 1 0 7 | 45.6 | 544 |
| 2 0 0 | 44.8 | 544 |
| 0 1 1 | 19.9 | 515 |
| 0 1 3 | 25.5 | 298 |
| 1 2 1 | 45.4 | 273 |
| 0 0 2 | 11.1 | 151 |
+++
“The White House pledge is an important public recognition of the initiatives universities are pioneering,” Anderson said. “The schools that pledged serve as models for replicable climate action and continuous commitment to combat climate change.”
~~~
PrEuHfFeO6: computed powder diffractogram (copper Kα), based on the PBE+U geometry in Alexandria.
Lines closer than 0.1° are merged.

Cell lengths 5.6087, 5.6087, 5.6087 Å; angles 60.00, 60.00, 60.00 degrees
Element x y z (fractional)
Pr 0.0000 0.0000 0.0000
Eu 0.5000 0.5000 0.5000
Hf 0.7500 0.7500 0.7500
Fe 0.2500 0.2500 0.2500
O 0.0064 0.0064 0.4936
O 0.0064 0.4936 0.0064
O 0.0064 0.4936 0.4936
O 0.4936 0.0064 0.0064
O 0.4936 0.0064 0.4936
O 0.4936 0.4936 0.0064

Largest 10 diffraction maxima, low angle first, 10 to 90 degrees two-theta:
19.4 deg, intensity 11
31.9 deg, intensity 100
37.6 deg, intensity 7
39.4 deg, intensity 4
45.8 deg, intensity 29
50.1 deg, intensity 4
56.9 deg, intensity 39
66.7 deg, intensity 18
75.9 deg, intensity 17
84.7 deg, intensity 6


KSrEuFeO6: computed powder diffractogram (copper Kα), based on the PBE+U geometry in Alexandria.
Lines closer than 0.1° are merged.

Cell lengths 5.8624, 5.8624, 5.8624 Å; angles 60.00, 60.00, 60.00 degrees
Element x y z (fractional)
K 0.0000 0.0000 0.0000
Sr 0.5000 0.5000 0.5000
Eu 0.2500 0.2500 0.2500
Fe 0.7500 0.7500 0.7500
O 0.5183 0.5183 0.9817
O 0.5183 0.9817 0.5183
O 0.5183 0.9817 0.9817
O 0.9817 0.5183 0.5183
O 0.9817 0.5183 0.9817
O 0.9817 0.9817 0.5183

Largest 10 diffraction maxima, low angle first, 10 to 90 degrees two-theta:
18.5 deg, intensity 19
21.4 deg, intensity 18
30.5 deg, intensity 100
35.9 deg, intensity 16
43.7 deg, intensity 36
47.8 deg, intensity 9
54.2 deg, intensity 38
63.5 deg, intensity 21
72.0 deg, intensity 17
88.2 deg, intensity 21


PrEuNbFeO6: computed powder diffractogram (copper Kα), based on the PBE+U geometry in Alexandria.
Lines closer than 0.1° are merged.

Cell lengths 5.6080, 5.6080, 5.6080 Å; angles 60.00, 60.00, 60.00 degrees
Element x y z (fractional)
Pr 0.0000 0.0000 0.0000
Eu 0.5000 0.5000 0.5000
Nb 0.7500 0.7500 0.7500
Fe 0.2500 0.2500 0.2500
O 0.0011 0.0011 0.4989
O 0.0011 0.4989 0.0011
O 0.0011 0.4989 0.4989
O 0.4989 0.0011 0.0011
O 0.4989 0.0011 0.4989
O 0.4989 0.4989 0.0011

Largest 10 diffraction maxima, low angle first, 10 to 90 degrees two-theta:
22.4 deg, intensity 7
31.9 deg, intensity 100
39.4 deg, intensity 12
45.8 deg, intensity 31
51.5 deg, intensity 4
56.9 deg, intensity 39
66.7 deg, intensity 18
75.9 deg, intensity 17
80.3 deg, intensity 4
84.7 deg, intensity 6


NdEuFe4O12: computed powder diffractogram (copper Kα), based on the PBE+U geometry in Alexandria.
Lines closer than 0.1° are merged.

Cell lengths 5.3886, 5.3886, 7.6532 Å; angles 90.00, 90.00, 90.00 degrees
Element x y z (fractional)
Nd 0.0000 0.0000 0.0000
Eu 0.5000 0.5000 0.5000
Fe 0.0000 0.5000 0.2506
Fe 0.0000 0.5000 0.7494
Fe 0.5000 0.0000 0.2506
Fe 0.5000 0.0000 0.7494
O 0.0000 0.5000 0.0000
O 0.0000 0.5000 0.5000
O 0.2478 0.2478 0.2466
O 0.2478 0.2478 0.7534
O 0.2478 0.7522 0.2466
O 0.2478 0.7522 0.7534
O 0.5000 0.0000 0.0000
O 0.5000 0.0000 0.5000
O 0.7522 0.2478 0.2466
O 0.7522 0.2478 0.7534
O 0.7522 0.7522 0.2466
O 0.7522 0.7522 0.7534
~~~
**The entry goes on**
The universities participating in the pledge have also invested in sustainability initiatives to reduce greenhouse gas emissions, as well as integrating environmental activism into the academic curriculum. Many of the participating schools, including Columbia University and all of the University of California schools, hope to one day be carbon neutral.
“NYU was an early adopter of commitment to reduce emissions, but it doesn’t stop there,” Anderson said. “We continue to push to do more and set even more ambitious goals once our targets are reached.”
NYU has made changes in energy efficiency through efforts such as the Co-Gen Plant, NYU Sustainable Landscaping and NYU Green Grants, which provides funding for campus sustainability efforts.
There are also many student-run organizations on campus which help to promote environmental awareness including NYU Divest, Earth Matters and Green Arch.
Energy and Sustainability Specialist at NYU Langone Medical Center Jenna Agins said while the hospital operates separately from the rest of the university, it has also invested in ecological practices to create a sustainable environment.
“We do have a 50 percent carbon reduction goal as part of our participation in the New York City Carbon Challenge for Hospitals,” Agins said. “We also participate in the [American Society for Healthcare Engineering] Energy to Care program as well as the [Environmental Protection Agency] National Building Competition.”
CAS Senior and NYU Divest member Lila Carpenter said while NYU has engaged in various energy efficiency efforts, they have yet to recognize the source of climate change, namely, the fossil fuel industry and the use of fossil fuelss instead of alternative energies.
The entry is interrupted by data records
'''
# 1
Starting from a cell relaxed with PBE, the powder X-ray diffraction pattern of Li3Ru5 was simulated for Cu Kα.
Lines closer than 0.1° are merged.

Most intense lines, 10 to 90 degrees two-theta, by angle:
2θ (°)  I (rel.)
25.33  39
29.33  48
31.69  56
39.13  70
40.89  64
43.72  100
46.22  59
66.20  27
70.91  30
74.02  25

Structure:
abc: 7.0327 7.0327 4.7362
angles: 90.00 90.00 120.00
Space group P6_3/mcm (No. 193)
Inequivalent atoms, fractional coordinates:
Li: 0.0000 0.4025 0.2500 [6 per cell]
Ru: 0.0000 0.2220 0.7500 [6 per cell]
Ru: 0.3333 0.6667 0.0000 [4 per cell]


# 2
Starting from a cell relaxed with PBE, the powder X-ray diffraction pattern of Na8B11C5 was simulated for Cu Kα.
Lines closer than 0.1° are merged.

Most intense lines, 10 to 90 degrees two-theta, by angle:
2θ (°)  I (rel.)
34.86  11
36.42  17
40.89  50
42.15  38
42.26  100
56.90  9
63.52  18
77.12  13
79.21  17
81.13  10

Structure:
abc: 34.688 2.811 5.148
angles: 90.00 98.53 90.00
Space group Cm (No. 8)
Inequivalent atoms, fractional coordinates:
Na: 0.000 0.000 0.000 [2 per cell]
Na: 0.000 0.500 0.498 [2 per cell]
Na: 0.122 0.000 0.122 [2 per cell]
Na: 0.123 0.500 0.621 [2 per cell]
Na: 0.248 0.000 0.249 [2 per cell]
Na: 0.248 0.500 0.749 [2 per cell]
Na: 0.374 0.000 0.373 [2 per cell]
Na: 0.374 0.500 0.876 [2 per cell]
B: 0.061 0.000 0.733 [2 per cell]
B: 0.061 0.500 0.232 [2 per cell]
B: 0.185 0.000 0.506 [2 per cell]
B: 0.185 0.000 0.838 [2 per cell]
B: 0.185 0.500 0.048 [2 per cell]
B: 0.311 0.000 0.659 [2 per cell]
B: 0.311 0.000 0.991 [2 per cell]
B: 0.311 0.500 0.449 [2 per cell]
B: 0.437 0.000 0.800 [2 per cell]
B: 0.437 0.500 0.258 [2 per cell]
B: 0.437 0.500 0.589 [2 per cell]
C: 0.061 0.000 0.396 [2 per cell]
C: 0.061 0.500 0.896 [2 per cell]
C: 0.185 0.500 0.349 [2 per cell]
C: 0.311 0.500 0.148 [2 per cell]
C: 0.437 0.000 0.101 [2 per cell]


Repeat the first record exactly.
Starting from a cell relaxed with PBE, the powder X-ray diffraction pattern of Li3Ru5 was simulated for Cu Kα.
Lines closer than 0.1° are merged.

Most intense lines, 10 to 90 degrees two-theta, by angle:
2θ (°)  I (rel.)
25.33  39
29.33  48
31.69  56
39.13  70
40.89  64
43.72  100
46.22  59
66.20  27
70.91  30
74.02  25

Structure:
abc: 7.0327 7.0327 4.7362
angles: 90.00 90.00 120.00
Space group P6_3/mcm (No. 193)
Inequivalent atoms, fractional coordinates:
Li: 0.0000 0.4025 0.2500 [6 per cell]
Ru: 0.0000 0.2220 0.7500 [6 per cell]
Ru: 0.3333 0.6667 0.0000 [4 per cell]


[1]
Theoretical powder diffractogram
Compound: Rb3PuO6
Radiation: CuKα
Structure: the PBE geometry in Alexandria
Intensities are scaled so that the largest is 1000.

a = 6.539 Å, b = 6.539 Å, c = 9.548 Å
α = 90.00°, β = 90.00°, γ = 90.00°
Space group P4/mnc (No. 128)
Asymmetric unit:
Rb1 0.000 0.000 0.000 x2
Rb2 0.000 0.500 0.250 x4
Pu1 0.000 0.000 0.500 x2
O1 0.000 0.000 0.295 x4
O2 0.137 0.264 0.500 x8

Largest 10 diffraction maxima, sorted by position, 10° ≤ 2θ ≤ 90°:
2θ/deg, d [Å], I (rel.), index
'''
End of the data records
“NYU has $139 million dollars invested in coal, oil and gas, and is therefore profiting off of the harmful effects of climate change,” Carpenter said. “NYU Divest sees the signing of this pledge while simultaneously retaining investments in the very things the conference is attempting to fight as highly hypocritical.”
Carpenter questioned whether NYU administrators and board members really hope for strong action on climate change among the university.
“We need to ask ourselves whether this is just a publicity stunt since NYU itself has yet to take meaningful action on climate change,” Carpenter said. “We need to continue to put pressure on the university and the board of trustees to do what is morally right by divesting from the fossil fuel industry and sending a message to other institutions around the world to do the same.”
A version of this article appeared in the Nov. 23 print edition. Email Greta Chevance at [email protected].